-- To do --
Filter the listing underneath: keep the lines with the word "line".

-- Given --
~~~
DFT (ωB97M-V/def2-TZVPD) results for a 2-piece molecular cluster, C38H44N4O2 overall at a distorted geometry.

Each line ends with the Löwdin charge.
Atoms and positions in Å:
C (-7.17, -2.74, 1.99)  -0.06
N (-6.81, -1.49, 1.35)  -0.19
C (-7.94, -0.75, 0.83)  -0.06
C (-5.51, -1.09, 1.24)  -0.22
C (-5.14, 0.14, 0.62)  -0.01
C (-3.82, 0.46, 0.41)  -0.02
C (-2.78, -0.42, 0.80)  -0.21
C (-1.39, -0.14, 0.50)  -0.03
C (-0.35, -0.97, 0.86)  -0.02
C (1.02, -0.58, 0.90)  -0.06
C (2.06, -1.59, 0.99)  -0.15
C (1.75, -2.97, 0.83)  0.00
C (2.70, -3.96, 1.01)  -0.01
C (4.06, -3.63, 1.28)  -0.21
N (5.00, -4.60, 1.43)  -0.20
C (6.42, -4.39, 1.23)  -0.06
C (4.65, -6.01, 1.55)  -0.07
C (4.39, -2.25, 1.41)  -0.01
C (3.41, -1.28, 1.32)  -0.02
C (1.35, 0.85, 0.88)  -0.16
C (0.56, 1.80, 1.57)  -0.02
C (0.90, 3.14, 1.59)  0.01
C (2.12, 3.58, 1.03)  -0.24
N (2.54, 4.90, 1.20)  -0.23
C (3.79, 5.24, 1.85)  -0.08
C (1.90, 5.98, 0.48)  -0.08
C (2.90, 2.65, 0.31)  0.01
C (2.49, 1.33, 0.20)  -0.03
C (-3.14, -1.57, 1.54)  -0.02
C (-4.46, -1.92, 1.73)  -0.02
H (-6.67, -2.85, 2.97)  0.09
H (-8.25, -2.73, 2.15)  0.09
H (-6.92, -3.62, 1.38)  0.10
H (-7.62, 0.11, 0.24)  0.07
H (-8.55, -1.40, 0.19)  0.09
H (-8.58, -0.39, 1.65)  0.10
H (-5.91, 0.85, 0.31)  0.10
H (-3.56, 1.42, -0.05)  0.11
H (-1.15, 0.84, 0.08)  0.09
H (-0.57, -2.01, 1.09)  0.09
H (0.75, -3.28, 0.54)  0.11
H (2.41, -5.00, 0.93)  0.10
H (6.67, -3.33, 1.21)  0.07
H (6.97, -4.87, 2.05)  0.09
H (6.76, -4.85, 0.29)  0.10
H (3.75, -6.13, 2.17)  0.09
H (4.46, -6.47, 0.57)  0.10
H (5.48, -6.54, 2.02)  0.09
H (5.41, -1.95, 1.63)  0.10
H (3.70, -0.25, 1.52)  0.11
H (-0.33, 1.47, 2.11)  0.12
H (0.27, 3.87, 2.10)  0.12
H (4.00, 4.51, 2.64)  0.09
H (4.63, 5.25, 1.14)  0.08
H (3.68, 6.23, 2.29)  0.08
H (0.84, 5.73, 0.30)  0.09
H (1.97, 6.90, 1.08)  0.08
H (2.38, 6.15, -0.50)  0.07
H (3.80, 2.99, -0.20)  0.12
H (3.08, 0.64, -0.41)  0.13
H (-2.35, -2.21, 1.94)  0.11
H (-4.70, -2.84, 2.26)  0.10
C (-4.84, -2.50, -2.33)  -0.07
C (-3.35, -2.31, -2.23)  -0.23
O (-3.12, -0.87, -2.26)  -0.04
C (-1.81, -0.55, -2.22)  -0.53
C (-1.64, 0.92, -2.05)  -0.15
N (-0.50, 1.44, -2.35)  0.03
C (-0.12, 2.69, -2.38)  -0.14
C (1.19, 3.02, -2.85)  -0.23
C (1.73, 4.33, -2.74)  -0.07
C (3.03, 4.58, -3.16)  -0.11
C (3.79, 3.55, -3.75)  -0.12
C (3.25, 2.26, -3.90)  -0.10
C (1.97, 2.00, -3.44)  -0.04
O (-0.89, -1.35, -2.31)  0.05
H (-5.06, -3.55, -2.16)  0.08
H (-5.38, -1.89, -1.60)  0.06
H (-5.20, -2.21, -3.33)  0.08
H (-2.95, -2.72, -1.29)  0.12
H (-2.84, -2.75, -3.10)  0.12
H (-2.53, 1.51, -1.77)  0.11
H (-0.80, 3.52, -2.08)  0.11
H (1.10, 5.12, -2.32)  0.10
H (3.47, 5.57, -3.04)  0.10
H (4.80, 3.76, -4.09)  0.09
H (3.83, 1.47, -4.37)  0.10
H (1.52, 1.00, -3.52)  0.11

- LUMO level: -1.446 eV
- Frontier orbital gap: 3.74 eV
- Total energy: -50171.535 eV
- Strongest force on any atom: 2.42 eV/A
- E_HOMO: -0.1904 hartree


<A>
C6H6N2O2 | ωB97M-V/def2-TZVPD

```
! RIJCOSX wB97M-V def2-TZVPD def2/J DEFGRID3
* xyz 0 1
C 2.014 0.322 0.042
C 1.851 -0.690 1.157
C 0.586 -1.404 0.950
C 0.181 -0.694 -1.389
C -2.844 1.774 -0.217
C -2.595 2.386 0.815
H 1.450 0.704 -1.975
H 1.871 -0.762 2.347
H 0.220 -1.933 1.745
H -0.596 -2.451 -0.374
H -3.453 1.154 -0.949
H -2.207 2.677 1.688
N 1.102 0.207 -1.112
N -0.052 -1.609 -0.288
O 2.762 1.218 0.084
O -0.291 -0.900 -2.525
*
```

Results
lowest unoccupied orbital energy	0.24	eV
HOMO energy	-9.430	eV
SMILES string	O=c1cc[nH]c(=O)[nH]1.C#C

---

<B>
C6H6N2O2 | ωB97M-V/def2-TZVPD

```
! RIJCOSX wB97M-V def2-TZVPD def2/J DEFGRID3
* xyz 0 1
C 1.273 -0.563 -0.133
C 1.140 -0.717 1.221
~~~

-- Reply --
Each line ends with the Löwdin charge.